3dr Pixhawk and F450 ARF

Maybe someone out there might have the same problem as mine. The ESC’s continuous to beep indicating an invalid signal according to DJI’s docs. Beeping is the same if Pixhawk wasn’t connected and even when the safety switch was engaged.

My setup.
DJI F450 ARF with 30A OPTO ESC
3dr Pixhawk with Power Module
3dr GPS
Castle 5V 10A BEC - connected to servo rail on FC.
AR6210 RX but only the satellite connected
Glacier 2.6 A Lipo

I’ve installed latest firmware and also tested other older version like 3.1.

Some things I did:

  • Adjusted Transmitter Travel so that I could get a low throttle below 1000.
  • Tested each ESC by connecting directly to AR6210 to test if the motors spins. It worked fine even when only the signal wire was connected to the RX.
  • Tested with USB and Lipo attached.
  • Tested without GPS module.
  • Tested without BEC.

Does anyone have some hints or clues on what went wrong?


Try looking at this http://ardupilot.com/forum/viewtopic.php?f=21&t=7350

btw: any reason for the BEC ??

Initial setup didn’t have a BEC but I saw an article about using BEC for the DJI OPTO so I’ve tried it also but it didn’t make any difference.

I’m using a DSX6i transmitter and the throttle value could only go as low as 998. On the link you’ve provided, it mentioned about changing the RC1_MIN that fixed the issue. I also tried that but on RC3_MIN since this is the throttle channel for me.

I’ve erased the firmware from CLI and reset factory default and uploaded the firmware back to the latest one, 3.1.5 Quad.

So far, I can’t seem to make these DJI ESC OPTO happy.


Are you sure about the channel order?? Spektrum radios use TAER (Throttle, Aileron, Elevator, Rudder) scheme, and I believe that in that radio you don’t have the option of swapping channels, so your throttle is being outputted on Channel 1, and you must change that on the PixHawk settings, because APM expects AETR, so you must remap the Throttle channel, and the other channels accordingly. The parameters to correct are in the RCMAP_ section, where you’ll have to adjust that to what your radio wants (TAER).

Look here: http://copter.ardupilot.com/wiki/arducopter-parameters/#RCMAP__Parameters

DJI ESC’s only respond to output pulses between 1120 and 1940 (DJI confirmed me this) and I can confirm that too.

So, after having the correct channel order, you must adjust Throttle (using limits on the radio) to output at minimum 1120 and max 1940. You can check this on the Mission Planner radio calibration screen. After you have the correct values for the Throttle channel adjusted, then you MUST calibrate the radio.

Everything should work now.

Let me know if I wasn’t clear.

[quote=“rodney”]Initial setup didn’t have a BEC but I saw an article about using BEC for the DJI OPTO so I’ve tried it also but it didn’t make any difference.

I’m using a DSX6i transmitter and the throttle value could only go as low as 998. On the link you’ve provided, it mentioned about changing the RC1_MIN that fixed the issue. I also tried that but on RC3_MIN since this is the throttle channel for me.

I’ve erased the firmware from CLI and reset factory default and uploaded the firmware back to the latest one, 3.1.5 Quad.

So far, I can’t seem to make these DJI ESC OPTO happy.[/quote]

Yes, I’m sure it is on channel 3, I’m using the satellite receiver that came with the AR6210 and I didn’t swap any channels.

On the flight data under status, I could see changes on “ch3in” if I move the throttle only. Once I arm it, I could see changes to ch1out, ch2out, ch3out and ch4out as I increase throttle.

When I do the Radio Calibration, the settings labeled as throttle corresponds to the throttle on my transmitter which corresponds to CH3.

If my throttle configs were wrong, then I won’t be able to arm the FC since I need to put the throttle to the lower left.

Any other things I could look for?

but strange

I just connected my PixHawk to the computer to check:

RCMAP settings

My Radio settings (Monitor screen on the Spektrum DX9)

APM Planner radio calibration screen

I’ve attached the pictures. See what you have please.

If we’ve eliminated one possible cause, let’s go to hardware.

The DJI ESC’s have the signaling with the 3 wires and you should have all the wires intact when connecting to the PixHawk.

When I had the Spektrum radio at the time I used either this Satellite

also used for some time this receiver

and these were the exact settings I used with both, so if it still won’t work, we must assume some failure somewhere.

My RCMAP settings are as follows, I didn’t change any of them:

This is the satellite RC I’m using:

I’ve also uploaded a youtube video to see what happens when I arm the quad.

Although our radios are different both are Spektrum so channel order matters. I would correct that. But that is me :slight_smile:

When I first put it all together I also did a small video:


I followed your RCMAP settings and everything gets inverted, the throttle on the stick now becomes the pitch on Mission Planner.

I’m not using the AR6210 receiver, I just use that to bind my receiver then afterwards, I would connect the satellite RX only directly to FC.

I really appreciate you helping out, but I just hope either you or someone out there could help me get this quad up in the air.


You made me go and look at the TX manual (Spektrum DX6i) and its a TAER setting.

What I believe is happening is that the satellite by itself is using PPM Sum out so the original RCMAP settings were probably right according to this http://copter.ardupilot.com/wiki/common-pixhawk-and-px4-compatible-rc-transmitter-and-receiver-systems/#Spektrum_Satellite_Receivers_Operate_on_PPM-Sum

So, please reset the RCMAP settings, and also reset all the trims on the Radio TX (btw: are you using a plain airplane model?). Then use Travel Adjust on the Throttle Channel to set the minimum timing that the DJI ESC’s need to work - on the throttle it must be 1120 with Throttle Low on the Mission Planner Screen (Initial Setup- Wizard- Mandatory-Radio Calibration) - I’m adding a pic of APM Planner because my Mission Planner screen is a mess due to my screen resolution -

While on this Radio Calibration Screen, adjust the travel limits fro the Throttle channel on the Radio TX to be 1120 at minimum at 1940 at maximum. When done, run the Calibration option on this same Mission Planner screen.

After this if it doesn’t work. I’ll bet on a possible hardware problem, and don’t really know where to start, except trying other TX+receiver combo before pointing the blame to the PixHawk…

Yes, the satellite is doing PPM. I’m using plane model on my transmitter and I’ve adjusted the travel to have the throttle set to a minimum of 1120 and a maximum of 1940. To make sure, I’ve reset everything and I have to do the whole compass, Accel and Radio calibration.

Unfortunately, still the same thing, no changes to beeping. If I connect all ESC to the Aux port of the pixhawk, then upon powering up, the ESC will make a musical tone and will beep rapidly as if the throttle was not low. But then, I can’t control the aux output with my transmitter so it’s useless. This only proves that the DJI ESC’s are working fine as it was receiving signals from the aux out ports.

For configuring, I’ve followed each steps on the pixhawk manual (http://3drobotics.com/wp-content/uploads/2014/03/pixhawk-manual-rev7.pdf). I didn’t make any changes to config/tuning sections.

........
Density functional theory data (PBE-GGA) for a geometry-optimized Y2AgBr structure.

Values from the calculation:
ρ: 4.36 g/cm³
raw formation energy: -159 meV/atom
ΔE to the lowest computed polymorph: 1.77 eV/f.u.
VASP energy: -4.5218 eV/atom
size of the total moment: 0.00 μB/atom
density of states at the Fermi level: 9.61 states/eV/cell

Lattice parameters (Å, degrees): 8.271 8.271 8.271 135.05 135.05 65.45
Element x y z (fractional)
Y1 0.116 0.625 0.991
Y2 0.375 0.366 0.491
Y3 0.634 0.125 0.009
Y4 0.875 0.884 0.509
Ag1 0.000 0.000 0.000
Ag2 0.750 0.250 0.500
Br1 0.250 0.750 0.500
Br2 0.500 0.500 0.000

~~~~~

Record 1
The following is a PBE calculation of crystalline Cs2HSe2 at its relaxed geometry, from Alexandria.

POSCAR file:
```
Cs2HSe2
1.0
1.7550 -9.9064 0.0000
1.7550 9.9064 0.0000
0.0000 0.0000 9.7632
Cs H Se
4 2 4
Cartesian
1.7550 9.8626 4.8816
1.7550 5.0557 0.4307
1.7550 -5.0557 5.3123
1.7550 -9.8626 0.0000
1.7550 2.7023 2.9739
1.7550 -2.7023 7.8555
1.7550 7.2595 7.3588
1.7550 2.2788 7.3374
1.7550 -2.2788 2.4558
1.7550 -7.2595 2.4772
```

- Crystal system: orthorhombic
- Offset from the most stable computed form: 99 meV/atom
- Total DFT energy (no corrections): -14.7 eV per formula unit
- D(E_F): 8.05 states/eV/cell


Record 2
The following is a PBE calculation of crystalline Cs3HSe at its relaxed geometry, from Alexandria.

POSCAR file:
```
Cs3HSe
1.0
5.7769 0.0000 0.0000
0.0000 5.7769 0.0000
0.0000 0.0000 5.7769
Cs H Se
3 1 1
Cartesian
0.0000 0.0000 2.8885
0.0000 2.8885 0.0000
2.8885 0.0000 0.0000
0.0000 0.0000 0.0000
2.8885 2.8885 2.8885
```

- Crystal system: cubic
- Offset from the most stable computed form: 17 meV/atom
- Total DFT energy (no corrections): -12.6 eV per formula unit
- D(E_F): 0.00 states/eV/cell


Record 3
The following is a PBE calculation of crystalline CsHSe3 at its relaxed geometry, from Alexandria.

POSCAR file:
```
CsHSe3
1.0
4.8293 0.0000 0.0000
0.0000 4.8293 0.0000
0.0000 0.0000 4.8293
Cs H Se
1 1 3
Cartesian
0.0000 0.0000 0.0000
2.4146 2.4146 2.4146
0.0000 2.4146 2.4146
2.4146 0.0000 2.4146
2.4146 2.4146 0.0000
```

- Crystal system: cubic
- Offset from the most stable computed form: 804 meV/atom
- Total DFT energy (no corrections): -12.8 eV per formula unit
- D(E_F): 3.40 states/eV/cell


Record 4
The following is a PBE calculation of crystalline Cs3H4Se at its relaxed geometry, from Alexandria.

POSCAR file:
```
Cs3H4Se
1.0
8.7399 -2.2449 0.0000
8.7399 2.2449 0.0000
-3.1533 0.0000 6.7475
Cs H Se
3 4 1
Cartesian
0.0000 0.0000 0.0000
8.7115 0.0000 4.0957
12.3186 0.0000 1.6722
1.5552 0.0000 2.5928
-0.1636 0.0000 6.2767
6.2241 0.0000 0.0113
3.9976 0.0000 4.8005
2.5395 0.0000 5.3088
```

- Crystal system: monoclinic
- Offset from the most stable computed form: 316 meV/atom
- Total DFT energy (no corrections): -19.9 eV per formula unit
- D(E_F): 2.36 states/eV/cell


Record 5
The following is a PBE calculation of crystalline Cs3H4Se at its relaxed geometry, from Alexandria.

POSCAR file:
```
Cs3H4Se
1.0
........

I’m really out of options to help you.

Just one more thing. Are the cables from the ESC’s intact? i.e. Do you have the 3 wires connected to the PixHawk?

Do you have the possibility to try other ESC’s connected to the PixHawk?

Besides that, I would point to a hardware issue on the PixHawk, and would call 3DR.


I’ve borrowed a NAZA M Lite and it worked like a charm, the F450 arms and the motors are spinning.

Looks like HW problem on the Pixhawk so I’ve contacted support for a replacement.
